• 沒有找到結果。


在文檔中 中 華 大 學 (頁 122-126)

第四章 成效式合約估驗計價條款研擬

4.6 道路養護成效式規範估驗計價與查驗

4.6.1 成效檢驗

世界銀行推行範本對於成效檢驗規範相關內容依附件三,Formal Inspections of Service Quality Levels and Informal Inspections of Service Quality Levels 之規定:

- - -
# 1
! CsSn3Hg3 GGA-PBE optimized geometry; values from VASP
! Total DFT energy (no corrections)   -27.60 eV per cell
! ΔE_f   -0.005 eV per atom
! V   38.0 A^3/atom
! Symmetry   Pm-3n
&SYSTEM
  ibrav = 0, nat = 14, ntyp = 3
/
ATOMIC_SPECIES
Cs 132.91 Cs.upf
Sn 118.71 Sn.upf
Hg 200.59 Hg.upf
CELL_PARAMETERS angstrom
8.103 0.000 0.000
0.000 8.103 0.000
0.000 0.000 8.103
ATOMIC_POSITIONS crystal
Cs 0.000 0.000 0.000
Cs 0.500 0.500 0.500
Sn 0.000 0.250 0.500
Sn 0.000 0.750 0.500
Sn 0.250 0.500 0.000
Sn 0.500 0.000 0.250
Sn 0.500 0.000 0.750
Sn 0.750 0.500 0.000
Hg 0.000 0.500 0.250
Hg 0.000 0.500 0.750
Hg 0.250 0.000 0.500
Hg 0.500 0.250 0.000
Hg 0.500 0.750 0.000
Hg 0.750 0.000 0.500

=====

# 2
! KMgBiO3 GGA-PBE optimized geometry; values from VASP
! Total DFT energy (no corrections)   -63.08 eV per cell
! Formation energy without anion corrections   -1.6823 eV/atom
! V   18.1 A^3/atom
! Symmetry   P2_1/m
&SYSTEM
  ibrav = 0, nat = 12, ntyp = 4
/
ATOMIC_SPECIES
K 39.10 K.upf
Mg 24.30 Mg.upf
Bi 208.98 Bi.upf
O 16.00 O.upf
CELL_PARAMETERS angstrom
5.631 0.000 0.000
0.000 3.614 0.000
-0.844 0.000 10.680
ATOMIC_POSITIONS crystal
K 0.242 0.250 0.400
K 0.758 0.750 0.600
Mg 0.187 0.750 0.050
Mg 0.813 0.250 0.950
Bi 0.290 0.250 0.747
Bi 0.710 0.750 0.253
O 0.186 0.250 0.962
O 0.272 0.750 0.618
O 0.339 0.750 0.222
O 0.661 0.250 0.778
O 0.728 0.250 0.382
O 0.814 0.750 0.038

=====

# 3
! HfSnAs2Pd GGA-PBE optimized geometry; values from VASP
! Total DFT energy (no corrections)   -26.00 eV per cell
! ΔE_f   0.490 eV per atom
! V   23.9 A^3/atom
! Symmetry   P4/mmm
&SYSTEM
  ibrav = 0, nat = 5, ntyp = 4
/
ATOMIC_SPECIES
Hf 178.49 Hf.upf
Sn 118.71 Sn.upf
As 74.92 As.upf
Pd 106.42 Pd.upf
CELL_PARAMETERS angstrom
4.803 0.000 0.000
0.000 4.803 0.000
0.000 0.000 5.189
ATOMIC_POSITIONS crystal
Hf 0.000 0.000 0.000
Sn 0.500 0.500 0.000
As 0.000 0.500 0.500
As 0.500 0.000 0.500
Pd 0.500 0.500 0.500

=====

# 4
! LaZrAl2Ge GGA-PBE optimized geometry; values from VASP
! Total DFT energy (no corrections)   -25.55 eV per cell
! ΔE_f   0.005 eV per atom
! V   27.0 A^3/atom
! Symmetry   P4/mmm
! Energy relative to the lowest polymorph listed for this composition   0 meV/atom
&SYSTEM
  ibrav = 0, nat = 5, ntyp = 4
/
ATOMIC_SPECIES
La 138.91 La.upf
Zr 91.22 Zr.upf
Al 26.98 Al.upf
Ge 72.64 Ge.upf
CELL_PARAMETERS angstrom
5.140 0.000 0.000
0.000 5.140 0.000
0.000 0.000 5.109
ATOMIC_POSITIONS crystal
La 0.000 0.000 0.000
Zr 0.500 0.500 0.500
Al 0.000 0.500 0.500
Al 0.500 0.000 0.500
Ge 0.500 0.500 0.000

=====

# 5
! Li6AcAu4 GGA-PBE optimized geometry; values from VASP
! Total DFT energy (no corrections)   -34.29 eV per cell
! ΔE_f   -0.509 eV per atom
! V   19.1 A^3/atom
! Symmetry   P-6m2
! Energy relative to the lowest polymorph listed for this composition   0 meV/atom
&SYSTEM
  ibrav = 0, nat = 11, ntyp = 3
/
ATOMIC_SPECIES
Li 6.94 Li.upf
Ac 227.00 Ac.upf
Au 196.97 Au.upf
CELL_PARAMETERS angstrom
7.599 0.000 0.000
-3.800 6.581 0.000
0.000 0.000 4.204
- - -
The calculated crystals stop here:


2.5 Methods for Inspection of Service Quality Levels for Paved Roads

2.5.1 Formal Inspections of Service Quality Levels

Formal inspections are those which are scheduled in advance by the Project Manager, and carried out by the Contractor (through his self-control Unit) under the supervision of the Project Manager. The main purpose of the formal inspections is to enable the Project Manager to verify the information presented in the Contractor’s monthly statement and to issue the Interim Payment Certificate. The Project Manager must inform the Contractor of his intention to carry out a formal inspection at least 48 hours in advance, indicating the exact date, hour and location where the formal inspection is to begin. The Contractor is obliged to be present at the date, hour and location specified by the Project Manager, providing the physical means of inspection as indicated further below. Formal inspections will normally, but not necessarily, be scheduled to begin within less than five (5) days after the presentation by the Contractor of the monthly statement to the Project Manager; and they should normally be completed within a maximum of five (5) days. The formal inspection allows to compare the information on compliance provided by the Contractor in the standard tables which are part of his monthly statement, with actual measurements taken in locations to be determined by the Project Manager.

During the formal inspection, the Project Manager will prepare a brief

Memorandum describing (i) the general circumstances of the site visit,

including date, road sections visited, persons present, etc., (ii) the nature

and location of any non-compliance which may have been detected, and (iii) the time granted by the Project Manager to the Contractor to remedy the detected defects. Based on the outcome of the formal inspection, the Project Manager will immediately correct any possible errors or misrepresentations in the Contractor’s monthly statement, countersign it and present it to the Employer for payment, and to the Contractor for information [22].

Formal inspections will also be scheduled for the follow-up site visits, whose purpose is to verify if the Contractor has remedied the causes of earlier non-compliance, within the time frame granted by the Project Manager and specified in the Memorandum.

Regular monthly formal inspections (excluding follow-up visits) will cover at least [insert number] percent of each of the paved roads or road sections under contract.

[Note: Recommended is around 10 percent of the total length of the paved roads under contract.]

During the course of the regular monthly inspections, the Project Manager may however increase the total length of the road sections tested, in particular if numerous cases of non-compliance are detected.

2.5.2 Informal Inspections of Service Quality Levels

The Project Manager may carry out informal inspections of service quality levels as part of the general mandate given to him by the Employer.

He may do so on his own initiative, at any time and anywhere on the roads included in the contract. He must use his own means for those inspections.

If he detects any road sections where the service quality criteria are not

met, he is obliged to inform the Contractor within 24 hours in writing, in

order to enable him to take remedial action as soon as possible. The results

of informal inspections may not be used by the Project Manager for

purposes of correcting the Contractor’s monthly statements or applying

penalties or liquidated damages, except for cases in which the road has been completely interrupted and the criteria of Road Usability has not been met [22].

2.5.3 Means Used for Inspection

For the formal inspections of compliance with service quality levels, the Contractor’s Self-control Unit will work in close collaboration with, and under supervision of the Project Manager. The physical means needed for the inspections will be provided by the Contractor; they are the same which are normally used by the Self-control Unit for the continuous self-evaluation of the Contractor’s compliance, in particular:

a. Vehicles of the following type: [specify number and type of vehicle]

[Note: The vehicle(s) should be of the type most typically used by road users. Different types of vehicles may need to be specified for different groups of roads.]

b.Qualified and support staff: [specify number and type of staff, normally it should include as a minimum the qualified staff of the Self-control Unit plus two helpers.]

c.All equipments, tools and instruments needed, as indicated in the paragraphs describing the methodologies for inspection [22].



正式檢驗每月一次專案經理應通知承攬廠商排定時程,並由承攬 廠商之自主品管小組(品管工程師)在專案經理監督下執行檢驗(隨機選 取合約路段總長度的10%,以一個工作天內完成為原則)。

正式檢驗主要目的為專案經理能驗證承攬廠商月報表的資料,並 據以發出付款相關文件。專案經理必須在正式檢驗前48 小時通知承攬 廠商確切檢驗日期、時間、與路段。承攬廠商必須依指定時間到達檢


正式檢驗應該是承攬廠商向專案經理提出月報後五日內進行,且 於三天內完成。正式檢驗所得的數據用以與承攬廠商月報表中所列各 項成效指標值比較,以確認符合程度。在正式檢驗後,專案經理應向 承攬廠商/工程司發文,說明:




4.專案經理應依據正式檢驗結果,立即更正承攬廠商在月報表中提報 資料,並簽署月報文件以提送工程司做為付款之依據,也同時應 給承攬廠商及專案經理。

正式檢驗後可依需求安排複驗,其目的在於確認承攬廠商已在允 許的時間期限內修正改進原先檢驗發現的缺失。有「反應時間(Time of Response, TOR)」之成效指標項目,必須在規定之反應時間內進行複驗,

以確認其符合合約標準之要求[7, 23, 28]。


專案經理可進行道路養護成效之非正式檢驗(以隨機選取合約路 段總長度的 5%為原則)。專案經理可主動在任何時間(例如每週一次或 接到用路人抱怨時),檢驗任何合約內之道路地點的養護成效。

非正式檢驗採用專案經理認可的簡便方法,如果專案經理/工程司 發現某些路段之成效等級未符合要求,應於24 小時內以書面通知承攬 廠商,使承攬廠商得以在最快的時間內採取改善措施。

除非養護的道路已完全中斷,已不符合道路可用性的要求,否則 非正式成效檢驗不得做為更改承攬廠商月報表、罰款或損失求償之依 據[2, 5, 22]。

(Records of crystals, as found in the file)
-- begin --
[1]
LiTe3: relaxed, PBE.

a = 4.2607 Å, b = 4.4514 Å, c = 6.7697 Å
α = 109.19°, β = 108.34°, γ = 90.00°
With the nearest neighbours (Å) after each atom.
Element x y z (fractional)
Li 0.0000 0.9189 0.0000  8 Te 3.01-3.09
Te 0.3235 0.7390 0.6471  2 Li 3.01, 2 Te 3.07-3.08
Te 0.5000 0.4168 0.0000  4 Li 3.07-3.09, 4 Te 3.07-3.08
Te 0.6765 0.0919 0.3529  2 Li 3.01, 2 Te 3.07-3.08

* energy relative to the lowest polymorph listed for this composition: 161 meV per atom
* total magnetization: 0.000 μB per formula unit
* DOS(E_F): 2.4 states/eV per cell
* raw total energy: -12.30 eV for the cell shown
* space-group type: Imm2, No. 44
* formation energy from raw total energies: -0.241 eV per atom

---

[2]
Li2Te: relaxed, PBE.

a = 4.9019 Å, b = 4.9019 Å, c = 4.9019 Å
α = 131.86°, β = 131.86°, γ = 70.46°
With the nearest neighbours (Å) after each atom.
Element x y z (fractional)
Li 0.6578 0.6578 0.0000  1 Li 2.53, 1 Te 2.74
Li 0.3422 0.3422 0.0000  1 Li 2.53, 1 Te 2.74
Te 0.0000 0.0000 0.0000  2 Li 2.74

* energy relative to the lowest polymorph listed for this composition: 206 meV per atom
* total magnetization: 0.000 μB per formula unit
* raw total energy: -9.46 eV for the cell shown
* space-group type: I4/mmm, No. 139
* formation energy from raw total energies: -0.829 eV per atom

---

[3]
Li5Te2: relaxed, PBE.

a = 5.9582 Å, b = 7.0019 Å, c = 8.1852 Å
α = 115.32°, β = 111.34°, γ = 90.00°
With the nearest neighbours (Å) after each atom.
Element x y z (fractional)
Li 0.9176 0.7613 0.8352  4 Te 2.81-3.08, 5 Li 3.04-3.13
Te 0.8772 0.1140 0.7543  10 Li 2.79-3.08
Li 0.0179 0.2679 0.5359  4 Te 2.79-2.97, 4 Li 2.98-3.12
Li 0.9821 0.7321 0.4641  4 Te 2.79-2.97, 4 Li 2.98-3.12
Te 0.6228 0.3597 0.2457  10 Li 2.79-3.08
Li 0.5179 0.2679 0.5359  4 Te 2.79-2.97, 4 Li 2.98-3.12
Li 0.4176 0.0740 0.8352  4 Te 2.81-3.08, 5 Li 3.04-3.13
Li 0.4821 0.7321 0.4641  4 Te 2.79-2.97, 4 Li 2.98-3.12
Te 0.1228 0.8860 0.2457  10 Li 2.79-3.08
Li 0.5824 0.9260 0.1648  4 Te 2.81-3.08, 5 Li 3.04-3.13
Li 0.7500 0.5000 0.0000  4 Te 2.90, 8 Li 2.98-3.14
Te 0.3772 0.6403 0.7543  10 Li 2.79-3.08
Li 0.0824 0.2387 0.1648  4 Te 2.81-3.08, 5 Li 3.04-3.13
Li 0.2500 0.5000 0.0000  4 Te 2.90, 8 Li 2.98-3.14

* total magnetization: 0.363 μB per formula unit
* DOS(E_F): 4.9 states/eV per cell
* raw total energy: -42.34 eV for the cell shown
* space-group type: Ibam, No. 72
* formation energy from raw total energies: -0.760 eV per atom

---

[4]
Li3Te5: relaxed, PBE.

a = 6.4424 Å, b = 6.4424 Å, c = 5.1179 Å
α = 90.00°, β = 90.00°, γ = 104.35°
With the nearest neighbours (Å) after each atom.
Element x y z (fractional)
Te 0.0000 0.5000 0.0000  2 Li 3.22, 6 Te 3.22-3.28
Li 0.8035 0.8035 0.5000  4 Te 2.99-3.13, 1 Li 3.11
Li 0.1965 0.1965 0.5000  4 Te 2.99-3.13, 1 Li 3.11
Te 0.0000 0.0000 0.0000  4 Li 2.99, 4 Te 3.22
Te 0.3021 0.6979 0.5000  6 Li 3.13-3.44, 4 Te 3.28
Te 0.5000 0.0000 0.0000  6 Te 3.22-3.28, 2 Li 3.22
Li 0.5000 0.5000 0.0000  8 Te 3.22-3.26, 4 Li 3.51
-- stop --
(The records of crystals stop here)

在文檔中 中 華 大 學 (頁 122-126)